Welcome back to the third and final section of our Facts Game with Sprite Kit tutorial series. This tutorial will teach you how to use the Sprite Kit framework to create a question-based facts game. It is designed for both novice and advanced users. Along the way, you will apply the Sprite Kit core.
In this tutorial, you will program the entire game logic including the player's life, the question, and the player's answer. This tutorial series is broken up into three sections: Project Setup, Facts Interface, and Game Logic. If you haven't yet completed the second section, you can download the project and pickup exactly where we left off. Each part produces a practical result, and the sum of all parts will produce the final game. Despite the fact that each part can be read independently, for a better understanding we suggest to follow the tutorial step by step. We also included the source code for each part separately, thus providing a way to start the tutorial in any part of the series.
This is what our game will look like upon completion:
1. Custom Facts Class
In the last tutorial, you defined a plist file for the questions. Each question has four properties. In order to manage them, you need to create a custom class to afford that task properly. Therefore, you need to form another Objective-C class. Name it factObject and define the NSObject superclass.
Now, let's edit the header file and add the four plist properties. Each plist property has its own features:
The statement Id is an int.
The statement is a NSString.
The isCorrect statement is an int.
The additional information is a NSString.
The end result should be similar to this:
You don't need to use the implementation file (.m). We will parse the plist file to this custom class and use the values directly from the memory.
2. Facts Interface: Initialization
In the last tutorial, you defined the basic structure of the facts interface. It is now time to complete it with the logic steps. To complete this game, we need to create a question label, a customized background statement, a button that asks for another question, and a true and false interface. Those four statements translate into five properties defined in the FactsScene.h file. Once again, you can name them as you please. Our implementation is:
Now move your attention to the FactsScene.m. You need to define several objects that are used internally in the class:
A NSMutableArray to store the questions
A random value that represents a random question
The question identifier
The minimum threshold for the right questions; this threshold indicates the minimum required correct answers for the user to advance to another level. In this tutorial, you will use value seven.
Your implementation file should look like this:
It is now time to allocate a few values and begin with the logic. In the -(id) initWithSize:(CGSize)size inLevel:(NSInteger)level withPlayerLives:(int)lives method initiate the questionNumber and the totalRightQuestions. Since it is the first time you use it, the initiation is easy and can be done like:
Now it is time to use the custom class defined in the aforementioned step. Parse the plist file and use the information store in the plist to allocate and populate new factObject objects. Note that we will store each factObject object in a custom NSMutableArray already defined (statements). The complete snippet is below.
This step removes the older parsing code from the -(void) didMoveToView:(SKView *)view method. You can remove it, since you will not use it anymore.
3. Facts Interface: Logic
It is now time to focus on the logic code itself. We need to show the question to the user. However, the question is always a random choice. Start to define a rectangle to afford the question and then allocate the necessary resources for the question's text. The following snippet will help you:
Note that you will not use the SKLabelNode over the simple NSString because of a SKLabelNode limitation; it is for single-line text only. A warning will appear regarding the getRandomNumberBetween:0 to:X method. You need to declare and code it; its objective is to return a random value between two values. The next snippet will help you:
Now that you can see the question, we need to add some functionalities to the right and wrong button. Change both selectors and call a new method called: presentCorrectWrongMenu.
Additionally, define a tag for each button. The true button will be tag = 1 and the false tag = 0. These tags help you when you call the -(void)presentCorrectWrongMenu:(UIButton*)sender method to determine which button was tapped to call that same method.
The next step is to add the -(void)presentCorrectWrongMenu:(UIButton*)sender method. This method is complex and recognizes which button is tapped, adds a custom answer interface, and adds a button that calls the next question. Use the following snippet to achieve the above-mentioned topics:
A warning will appear, however do not fix it right away. First, end the method declaration. Now that you have a custom interface for the answer, you need to test the player's answer. To achieve that, you need to know which button the player tapped and the inherent question's answer. You already know this, so you only need to create a simple logic test condition. To do this, you need to test if the answer is correct or incorrect, play a sound accordingly, and proceed to the properties update. The next snippet will help you. Note that you must place it where the last snippet of code ended.
Do you remember the last warning? Now you should see several warnings. Don't worry, they're warning you that several methods are missing. We can correct that. The first method to define is the -(void)nextQuestion. As the name suggests, it calls the next question. Besides presenting a new question, it resets the timer, increments the question number, updates the current question label, removes the presented question from the array, and tests the logic needed to move to another level. The complete source code of -(void)nextQuestion is:
Note that you hard-coded the maximum questions (10) for this level and the threshold for the next level (7). Once again, a new warning will appear. No resetTimer method exists; this method only resets the maximumTime property to 60 and updates the label accordingly:
In the last tutorial, you defined the touchWillProduceASound method. However in this tutorial, you need to modify it further. The objective is to pass it a object that represents the correct or incorrect answer. Then the corresponding sound will play. The complete method is:
### What comes next are calculated crystals, not part of the text
'''
Diffraction record for Li8Ce7Ge10. The powder XRD pattern is simulated, not measured: it uses a DFT-relaxed cell (PBE, the Materials Project) and Cu Ka.
Peak positions follow from Bragg's law for the DFT cell and can differ from measured ones.

a = 16.952 Å, b = 16.952 Å, c = 4.459 Å
α = 90.00°, β = 90.00°, γ = 156.92°
Atoms (fractional coordinates):
Li1 0.044 0.330 0.000
Li2 0.236 0.387 0.500
Li3 0.330 0.044 0.000
Li4 0.387 0.236 0.500
Li5 0.613 0.764 0.500
Li6 0.670 0.956 0.000
Li7 0.764 0.613 0.500
Li8 0.956 0.670 0.000
Ce1 0.056 0.944 0.000
Ce2 0.221 0.779 0.500
Ce3 0.337 0.663 0.500
Ce4 0.500 0.500 0.000
Ce5 0.663 0.337 0.500
Ce6 0.779 0.221 0.500
Ce7 0.944 0.056 0.000
Ge1 0.099 0.528 0.000
Ge2 0.126 0.874 0.500
Ge3 0.189 0.189 0.500
Ge4 0.406 0.594 0.000
Ge5 0.472 0.901 0.000
Ge6 0.528 0.099 0.000
Ge7 0.594 0.406 0.000
Ge8 0.811 0.811 0.500
Ge9 0.874 0.126 0.500
Ge10 0.901 0.472 0.000

Most intense lines, 10 to 80 degrees two-theta, by angle:
Position (°2θ), d/Å, I (rel.)
10.7, 8.304, 18
22.9, 3.888, 14
25.7, 3.473, 14
26.3, 3.392, 24
32.5, 2.759, 21
33.6, 2.665, 74
34.2, 2.622, 100
40.5, 2.230, 28
44.4, 2.041, 16
69.6, 1.351, 18

* * * * *

(1)
CsHf2UO8: simulated powder diffraction line list (Cu Kα), based on a PBE-relaxed structure.
No peak broadening, texture or thermal motion is included.

Principal peaks in the range 2θ = 10–80°, by angle:
index	2θ/deg	d_spacing	I/Imax
1 1 -1	18.54	4.786	45
2 0 0	20.36	4.361	93
1 1 -2	25.98	3.429	100
0 2 0	27.41	3.254	50
1 1 2	31.81	2.813	58
3 1 -1	32.04	2.793	18
2 2 0	34.39	2.608	32
3 1 -2	34.61	2.591	24
3 1 2	47.49	1.915	19
1 3 -2	47.59	1.911	21
1 3 2	51.29	1.781	17
5 1 -1	51.50	1.774	16

Cell and atoms:
```
data_CsHf2UO8
_chemical_formula_sum 'Cs2 Hf4 U2 O16'
_cell_length_a 9.2851
_cell_length_b 6.5079
_cell_length_c 8.1096
_cell_angle_alpha 90.00
_cell_angle_beta 110.06
_cell_angle_gamma 90.00
_symmetry_space_group_name_H-M 'C 1 2/m 1'
_symmetry_Int_Tables_number 12
_symmetry_space_group_name_Hall '-C 2y'
loop_
_atom_site_label
_atom_site_type_symbol
_atom_site_fract_x
_atom_site_fract_y
_atom_site_fract_z
_atom_site_occupancy
Cs1 Cs 0.0000 0.0000 0.0000 1
Hf1 Hf 0.0529 0.5000 0.2351 1
U1 U 0.0000 0.0000 0.5000 1
O1 O 0.0047 0.2363 0.6852 1
O2 O 0.1220 0.5000 0.0199 1
O3 O 0.2299 0.0000 0.5941 1
```

***

(2)
MgBRh3: simulated powder diffraction line list (Cu Kα), based on a PBE-relaxed structure.
No peak broadening, texture or thermal motion is included.

Principal peaks in the range 2θ = 10–80°, by angle:
index	2θ/deg	d_spacing	I/Imax
0 1 1	19.06	4.657	36
0 0 2	21.50	4.133	18
0 1 3	36.35	2.471	20
1 0 2	37.79	2.381	100
0 2 2	38.67	2.328	93
0 0 4	43.81	2.066	33
1 2 0	44.75	2.025	68
2 0 0	63.94	1.456	11
1 2 4	64.42	1.446	41
1 0 6	76.49	1.245	11
2 2 2	77.28	1.235	24
1 4 2	78.95	1.213	22

Cell and atoms:
```
data_MgBRh3
_chemical_formula_sum 'Mg2 B2 Rh6'
_cell_length_a 2.9122
_cell_length_b 5.6365
_cell_length_c 8.2658
_cell_angle_alpha 90.00
_cell_angle_beta 90.00
_cell_angle_gamma 90.00
'''
You still need to define the -(void)removePlayerLife method. As the name states, it tests the life of a player and acts accordingly. If the player has more than one life, a life is reduced and the inherent asset is updated or is moved to the home screen. The complete method is below.
At this point, we're nearly finished. It is now time to update the - (void)updateTimer defined in the last tutorial. This new method is responsible for updating the timer value and testing the player's life. It automatically reacts when the timer hits zero. At that time, it tests the player's life and acts accordingly. It goes to the main menu if the player's life is less than one or calls another question otherwise (decreasing the player's life). The complete snippet is below.
4. Additional Methods
Two additional methods were created: -(void)moveToHome and -(void)removeUIViews. We need to define them because we'll use them more than once. It is good practice to reuse code instead of typing it all again. The -(void)moveToHome is just a call to a SKTransition and MyScene class. The code is:
The -(void)removeUIViews removes the UIKit views from the superview. Here is what the code looks like:
• Misplaced calculated crystals:
[1]
This entry pairs a crystal structure of Sc6TeO12 with its calculated XRD peak list. Radiation: Cu Kα (λ = 1.5418 Å). Structure: a structure optimized by DFT (PBE).
Neutral-atom scattering factors, no anomalous dispersion.

Atomic structure:
```
data_Sc6TeO12
_chemical_formula_sum 'Sc6 Te1 O12'
_symmetry_space_group_name_H-M 'P 1'
_symmetry_Int_Tables_number 1
_symmetry_space_group_name_Hall 'P 1'
_cell_length_a 7.5898
_cell_length_b 7.7008
_cell_length_c 9.2184
_cell_angle_alpha 96.28
_cell_angle_beta 108.32
_cell_angle_gamma 106.40
loop_
_atom_site_label
_atom_site_type_symbol
_atom_site_fract_x
_atom_site_fract_y
_atom_site_fract_z
_atom_site_occupancy
Sc1 Sc 0.0354 0.3137 0.2844 1
Sc2 Sc 0.1384 0.9759 0.1511 1
Sc3 Sc 0.4601 0.2896 0.4777 1
Sc4 Sc 0.5399 0.7104 0.5223 1
Sc5 Sc 0.8616 0.0241 0.8489 1
Sc6 Sc 0.9646 0.6863 0.7156 1
Te1 Te 0.0000 0.0000 0.5000 1
O1 O 0.0037 0.8345 0.9183 1
O2 O 0.0133 0.9090 0.3000 1
O3 O 0.0950 0.8079 0.5887 1
O4 O 0.2654 0.1729 0.5636 1
O5 O 0.3112 0.4707 0.3890 1
O6 O 0.4000 0.1274 0.2827 1
O7 O 0.6000 0.8726 0.7173 1
O8 O 0.6888 0.5293 0.6110 1
O9 O 0.7346 0.8271 0.4364 1
O10 O 0.9050 0.1921 0.4113 1
O11 O 0.9867 0.0910 0.7000 1
O12 O 0.9963 0.1655 0.0817 1
```

The 10 most intense peaks (2θ = 10–80°), by angle:
Position (°2θ), I_rel
10.36, 100
12.28, 51
13.04, 51
14.62, 55
16.71, 17
23.60, 16
23.74, 22
25.71, 19
26.26, 16
39.82, 17


[2]
This entry pairs a crystal structure of LuSI with its calculated XRD peak list. Radiation: Cu Kα (λ = 1.5418 Å). Structure: a structure optimized by DFT (PBE).
Neutral-atom scattering factors, no anomalous dispersion.

Atomic structure:
```
data_LuSI
_chemical_formula_sum 'Lu1 S1 I1'
_symmetry_space_group_name_H-M 'P 1'
_symmetry_Int_Tables_number 1
_symmetry_space_group_name_Hall 'P 1'
_cell_length_a 4.4431
_cell_length_b 4.4431
_cell_length_c 5.1001
_cell_angle_alpha 90.00
_cell_angle_beta 90.00
_cell_angle_gamma 120.00
loop_
_atom_site_label
_atom_site_type_symbol
_atom_site_fract_x
_atom_site_fract_y
_atom_site_fract_z
_atom_site_occupancy
Lu1 Lu 0.0000 0.0000 0.0000 1
S1 S 0.3333 0.6667 0.0000 1
I1 I 0.6667 0.3333 0.5000 1
```

The 10 most intense peaks (2θ = 10–80°), by angle:
Position (°2θ), I_rel
23.11, 19
29.07, 100
35.19, 16
40.61, 33
42.53, 8
50.71, 21
54.80, 27
59.44, 13
66.90, 19
74.46, 9


[3]
This entry pairs a crystal structure of MgZn2 with its calculated XRD peak list. Radiation: Cu Kα (λ = 1.5418 Å). Structure: a structure optimized by DFT (PBE).
Neutral-atom scattering factors, no anomalous dispersion.

Atomic structure:
```
data_MgZn2
_chemical_formula_sum 'Mg2 Zn4'
_symmetry_space_group_name_H-M 'P 1'
_symmetry_Int_Tables_number 1
_symmetry_space_group_name_Hall 'P 1'
_cell_length_a 4.9728
_cell_length_b 4.9728
_cell_length_c 4.7729
_cell_angle_alpha 90.00
_cell_angle_beta 90.00
_cell_angle_gamma 120.00
loop_
_atom_site_label
_atom_site_type_symbol
_atom_site_fract_x
_atom_site_fract_y
_atom_site_fract_z
_atom_site_occupancy
Now that everything is correct, Run the project. Every time you correctly answer a question, you will see an interface similar to the next image:
On the other hand, when you incorrectly answer a question, you will see an interface that looks like this:
5. Final Improvements
There's just one more step before we're done. We need to correctly initialize the actualPlayerLevel at the level selection. Switch your attention to the MyScene.m class (the first one created by the Xcode) and let's add some lines of code. Initially, add an object of the type NSUserDefaults to the @implementation section. The following snippet will help you:
Now inside the -(void) didMoveToView:(SKView *)view, add the inherent NSUserDefaults initialization. The default value is one, so that a new player always starts a new game at Level 1. Moreover, if the player didn't achieve the minimum requisites to pass the level, it starts again at that same level. The result is below.
Several other adjustments can be made to this game. You can customize the correct answer rates for questions, animations, and transitions, or alter the landscape and portrait mode. We think that you are ready for such a task. Try to implement them on your own.
Theoretical PXRD pattern
Compound: ZrPaAg2O8
Radiation: CuKα
Structure: a structure optimized by DFT (PBE)
No peak broadening, texture or thermal motion is included.

Most intense lines, 15 to 90 degrees two-theta, in order of falling intensity:
2θ/deg	Rel. int.
25.33	100
31.14	91
48.43	74
58.71	34
17.84	32
36.13	29
52.01	23
61.89	22
85.02	20
82.25	16

```
data_ZrPaAg2O8
_chemical_formula_sum 'Zr2 Pa2 Ag4 O16'
_symmetry_space_group_name_H-M 'I -4 m 2'
_symmetry_Int_Tables_number 119
_symmetry_space_group_name_Hall 'I -4 -2'
_cell_length_a 7.0308
_cell_length_b 7.0308
_cell_length_c 7.0363
_cell_angle_alpha 90.00
_cell_angle_beta 90.00
_cell_angle_gamma 90.00
loop_
_atom_site_label
_atom_site_fract_x
_atom_site_fract_y
_atom_site_fract_z
Zr1 0.0000 0.0000 0.0000
Pa1 0.0000 0.5000 0.2500
Ag1 0.0000 0.0000 0.5000
Ag2 0.0000 0.5000 0.7500
O1 0.0000 0.1781 0.2583
O2 0.0000 0.3134 0.9814
```

Theoretical PXRD pattern
Compound: Ag9Pb4O12
Radiation: CuKα
Structure: a structure optimized by DFT (PBE)
No peak broadening, texture or thermal motion is included.

Most intense lines, 15 to 90 degrees two-theta, in order of falling intensity:
2θ/deg	Rel. int.
32.45	100
32.81	58
37.35	46
29.72	36
51.96	29
29.94	23
33.03	23
37.12	22
55.01	21
54.57	19

```
data_Ag9Pb4O12
_chemical_formula_sum 'Ag18 Pb8 O24'
_symmetry_space_group_name_H-M 'P 1 21/c 1'
_symmetry_Int_Tables_number 14
_cell_length_a 8.8245
_cell_length_b 10.4374
_cell_length_c 11.9384
_cell_angle_alpha 90.00
_cell_angle_beta 132.44
_cell_angle_gamma 90.00
loop_
_symmetry_equiv_pos_as_xyz
'x,y,z'
'-x,-y,-z'
'-x,y+1/2,-z+1/2'
'x,-y+1/2,z+1/2'
loop_
_atom_site_label
_atom_site_fract_x
_atom_site_fract_y
_atom_site_fract_z
Ag1 0.0000 0.0000 0.0000
Ag2 0.0000 0.0068 0.2556
Ag3 0.0063 0.7465 0.8810
Ag4 0.2245 0.7432 0.2362
Ag5 0.2319 0.2456 0.9883
Pb1 0.4947 0.0813 0.8693
Pb2 0.4994 0.0838 0.3730
O1 0.3035 0.2487 0.7144
O2 0.3052 0.5645 0.6862
O3 0.3056 0.0572 0.9319
O4 0.3116 0.0634 0.4378
O5 0.3148 0.7486 0.4718
O6 0.3193 0.5648 0.1908
```

Theoretical PXRD pattern
Compound: Ag7Pb3O9
Radiation: CuKα
Structure: a structure optimized by DFT (PBE)
No peak broadening, texture or thermal motion is included.

Most intense lines, 15 to 90 degrees two-theta, in order of falling intensity:
2θ/deg	Rel. int.
32.48	100
29.78	45
32.91	36
32.27	34
32.78	31
36.98	27
37.34	27
54.60	26
37.17	25
27.37	18

```
data_Ag7Pb3O9
_chemical_formula_sum 'Ag28 Pb12 O36'
_symmetry_space_group_name_H-M 'C 1 2/m 1'
_symmetry_Int_Tables_number 12
_cell_length_a 14.3259
_cell_length_b 10.3665
_cell_length_c 8.9292
_cell_angle_alpha 90.00
_cell_angle_beta 112.37
_cell_angle_gamma 90.00
loop_
_symmetry_equiv_pos_as_xyz
'x,y,z'
'-x,-y,-z'
'-x,y,-z'
'x,-y,z'
'x+1/2,y+1/2,z'
'-x+1/2,-y+1/2,-z'
'-x+1/2,y+1/2,-z'
'x+1/2,-y+1/2,z'
loop_
_atom_site_label
_atom_site_fract_x
_atom_site_fract_y
_atom_site_fract_z
Ag1 0.0732 0.0000 0.4187
Ag2 0.0836 0.2581 0.6672
Ag3 0.0862 0.5000 0.9013
Ag4 0.1631 0.0000 0.8275
Ag5 0.2461 0.5000 0.7612
At the end of this Facts tutorial, you should be able to create a SpriteKit game, create and configure several SpriteKit views and actions, configure several UIKit views, use them in parallel with SpriteKit, and parse Property lists. Don't hesitate to use the comment section below for suggestions or comments. Thanks for reading!